(Exercise)
Now return everything further down verbatim.
(Source)
+++
This entry pairs a crystal structure of YClO with its calculated X-ray powder pattern. Radiation: Cu Kα (λ = 1.5418 Å). Structure: a crystal structure in the Materials Project, relaxed with GGA-PBE.

Principal peaks in the range 15° ≤ 2θ ≤ 90°, low angle first:
18.51°, I = 18
27.62°, I = 77
31.14°, I = 100
34.77°, I = 42
37.52°, I = 18
41.57°, I = 15
44.12°, I = 27
47.51°, I = 53
48.51°, I = 12
57.91°, I = 16
62.06°, I = 22
78.07°, I = 13

Atomic structure:
Unit cell a=9.839 b=9.839 c=9.839 alpha=22.43 beta=22.43 gamma=22.43
Positions (direct):
Y 0.217 0.217 0.217
Y 0.783 0.783 0.783
Cl 0.389 0.389 0.389
Cl 0.611 0.611 0.611
O 0.137 0.137 0.137
O 0.863 0.863 0.863

=====

Starting from a cell relaxed with GGA+U, the X-ray powder pattern of Li7Co5O12 was computed for Cu Kα (weighted mean of Kα1 and Kα2).

Top 6 peaks for 2θ from 10° to 90°, by intensity:
2theta  Rel. int.
18.5  100.0
44.0  54.1
36.7  26.3
45.2  24.4
65.4  13.5
64.4  13.4

Structure:
Unit cell a=7.543 b=7.543 c=11.801 alpha=124.85 beta=124.85 gamma=21.91
Positions (direct):
Li (0.000, 0.000, 0.000)
Li (0.002, 0.002, 0.248)
Li (0.333, 0.333, 0.251)
Li (0.340, 0.340, 0.760)
Li (0.660, 0.660, 0.240)
Li (0.667, 0.667, 0.749)
Li (0.998, 0.998, 0.752)
Co (0.000, 0.000, 0.500)
Co (0.331, 0.331, 0.494)
Co (0.338, 0.338, 0.005)
Co (0.662, 0.662, 0.995)
Co (0.669, 0.669, 0.506)
O (0.160, 0.160, 0.620)
O (0.168, 0.168, 0.106)
O (0.174, 0.174, 0.894)
O (0.175, 0.175, 0.384)
O (0.487, 0.487, 0.119)
O (0.489, 0.489, 0.603)
O (0.511, 0.511, 0.397)
O (0.513, 0.513, 0.881)
O (0.825, 0.825, 0.616)
O (0.826, 0.826, 0.106)
O (0.832, 0.832, 0.894)
O (0.840, 0.840, 0.380)

=====

Diffraction record for Ac2PaS5. The powder X-ray diffraction pattern is theoretical, not measured: it uses DFT lattice parameters and positions (GGA-PBE) and Cu Kα.
Lines closer than 0.1° are merged.

Main lines, sorted by position (2θ = 10–80°):
hkl 0 0 2, 23.0 deg, I = 473
hkl 3 0 1, 24.5 deg, I = 1000
hkl 1 2 1, 25.1 deg, I = 744
hkl 2 2 0, 25.5 deg, I = 528
hkl 2 2 2, 34.6 deg, I = 541
hkl 6 0 0, 44.1 deg, I = 514

Structural model:
```
data_Ac2PaS5
_chemical_formula_sum 'Ac8 Pa4 S20'
_space_group_name_H-M_alt 'P n m a'
_space_group_IT_number 62
_cell_length_a 12.329
_cell_length_b 8.462
_cell_length_c 7.730
_cell_angle_alpha 90.00
_cell_angle_beta 90.00
_cell_angle_gamma 90.00
loop_
_space_group_symop_operation_xyz
'x,y,z'
'-x,-y,-z'
'-x+1/2,-y,z+1/2'
'x+1/2,y,-z+1/2'
'x+1/2,-y+1/2,-z+1/2'
'-x+1/2,y+1/2,z+1/2'
'-x,y+1/2,-z'
'x,-y+1/2,z'
loop_
_atom_site_label
_atom_site_type_symbol
_atom_site_fract_x
_atom_site_fract_y
_atom_site_fract_z
Ac1 Ac 0.174 0.002 0.037
Pa1 Pa 0.006 0.250 0.562
S1 S 0.003 0.250 0.943
S2 S 0.089 0.536 0.663
S3 S 0.187 0.250 0.342
S4 S 0.210 0.750 0.319
```

=====

Entry 1:
Structure and theoretical powder XRD pattern of CaHoSi2 (DFT lattice parameters and positions (PBE); a wavelength of 1.5418 Å).
Neutral-atom scattering factors, no anomalous dispersion.

Largest 10 diffraction maxima, in order of rising 2θ, 10° ≤ 2θ ≤ 90°:
- 15.41 deg, I 38, hkl 0 1 0
- 18.94 deg, I 60, hkl 0 1 1
- 21.98 deg, I 40, hkl 0 0 2
- 30.14 deg, I 100, hkl 1 1 1
- 32.19 deg, I 88, hkl 1 0 2
- 33.07 deg, I 83, hkl 0 2 1
- 35.87 deg, I 59, hkl 1 1 2
- 36.82 deg, I 53, hkl 0 1 3
- 40.81 deg, I 72, hkl 1 2 1
- 59.10 deg, I 37, hkl 2 2 1

```
data_CaHoSi2
_chemical_formula_sum 'Ca2 Ho2 Si4'
_symmetry_space_group_name_H-M 'P m c 21'
_symmetry_Int_Tables_number 26
_cell_length_a 3.8288
_cell_length_b 5.7495
_cell_length_c 8.0893
_cell_angle_alpha 90.00
_cell_angle_beta 90.00
_cell_angle_gamma 90.00
loop_
_symmetry_equiv_pos_as_xyz
'x,y,z'
'-x,-y,z+1/2'
'-x,y,z'
'x,-y,z+1/2'
loop_
_atom_site_label
_atom_site_fract_x
_atom_site_fract_y
_atom_site_fract_z
_atom_site_occupancy
Ca1 0.0000 0.1372 0.0000 1
Ho1 0.5000 0.3602 0.3584 1
Si1 0.0000 0.3828 0.6413 1
Si2 0.5000 0.1354 0.7135 1
```

***

Entry 2:
+++
(Outcome)
This entry pairs a crystal structure of YClO with its calculated X-ray powder pattern. Radiation: Cu Kα (λ = 1.5418 Å). Structure: a crystal structure in the Materials Project, relaxed with GGA-PBE.

Principal peaks in the range 15° ≤ 2θ ≤ 90°, low angle first:
18.51°, I = 18
27.62°, I = 77
31.14°, I = 100
34.77°, I = 42
37.52°, I = 18
41.57°, I = 15
44.12°, I = 27
47.51°, I = 53
48.51°, I = 12
57.91°, I = 16
62.06°, I = 22
78.07°, I = 13

Atomic structure:
Unit cell a=9.839 b=9.839 c=9.839 alpha=22.43 beta=22.43 gamma=22.43
Positions (direct):
Y 0.217 0.217 0.217
Y 0.783 0.783 0.783
Cl 0.389 0.389 0.389
Cl 0.611 0.611 0.611
O 0.137 0.137 0.137
O 0.863 0.863 0.863

=====

Starting from a cell relaxed with GGA+U, the X-ray powder pattern of Li7Co5O12 was computed for Cu Kα (weighted mean of Kα1 and Kα2).

Top 6 peaks for 2θ from 10° to 90°, by intensity:
2theta  Rel. int.
18.5  100.0
44.0  54.1
36.7  26.3
45.2  24.4
65.4  13.5
64.4  13.4

Structure:
Unit cell a=7.543 b=7.543 c=11.801 alpha=124.85 beta=124.85 gamma=21.91
Positions (direct):
Li (0.000, 0.000, 0.000)
Li (0.002, 0.002, 0.248)
Li (0.333, 0.333, 0.251)
Li (0.340, 0.340, 0.760)
Li (0.660, 0.660, 0.240)
Li (0.667, 0.667, 0.749)
Li (0.998, 0.998, 0.752)
Co (0.000, 0.000, 0.500)
Co (0.331, 0.331, 0.494)
Co (0.338, 0.338, 0.005)
Co (0.662, 0.662, 0.995)
Co (0.669, 0.669, 0.506)
O (0.160, 0.160, 0.620)
O (0.168, 0.168, 0.106)
O (0.174, 0.174, 0.894)
O (0.175, 0.175, 0.384)
O (0.487, 0.487, 0.119)
O (0.489, 0.489, 0.603)
O (0.511, 0.511, 0.397)
O (0.513, 0.513, 0.881)
O (0.825, 0.825, 0.616)
O (0.826, 0.826, 0.106)
O (0.832, 0.832, 0.894)
O (0.840, 0.840, 0.380)

=====

Diffraction record for Ac2PaS5. The powder X-ray diffraction pattern is theoretical, not measured: it uses DFT lattice parameters and positions (GGA-PBE) and Cu Kα.
Lines closer than 0.1° are merged.

Main lines, sorted by position (2θ = 10–80°):
hkl 0 0 2, 23.0 deg, I = 473
hkl 3 0 1, 24.5 deg, I = 1000
hkl 1 2 1, 25.1 deg, I = 744
hkl 2 2 0, 25.5 deg, I = 528
hkl 2 2 2, 34.6 deg, I = 541
hkl 6 0 0, 44.1 deg, I = 514

Structural model:
```
data_Ac2PaS5
_chemical_formula_sum 'Ac8 Pa4 S20'
_space_group_name_H-M_alt 'P n m a'
_space_group_IT_number 62
_cell_length_a 12.329
_cell_length_b 8.462
_cell_length_c 7.730
_cell_angle_alpha 90.00
_cell_angle_beta 90.00
_cell_angle_gamma 90.00
loop_
_space_group_symop_operation_xyz
'x,y,z'
'-x,-y,-z'
'-x+1/2,-y,z+1/2'
'x+1/2,y,-z+1/2'
'x+1/2,-y+1/2,-z+1/2'
'-x+1/2,y+1/2,z+1/2'
'-x,y+1/2,-z'
'x,-y+1/2,z'
loop_
_atom_site_label
_atom_site_type_symbol
_atom_site_fract_x
_atom_site_fract_y
_atom_site_fract_z
Ac1 Ac 0.174 0.002 0.037
Pa1 Pa 0.006 0.250 0.562
S1 S 0.003 0.250 0.943
S2 S 0.089 0.536 0.663
S3 S 0.187 0.250 0.342
S4 S 0.210 0.750 0.319
```

=====

Entry 1:
Structure and theoretical powder XRD pattern of CaHoSi2 (DFT lattice parameters and positions (PBE); a wavelength of 1.5418 Å).
Neutral-atom scattering factors, no anomalous dispersion.

Largest 10 diffraction maxima, in order of rising 2θ, 10° ≤ 2θ ≤ 90°:
- 15.41 deg, I 38, hkl 0 1 0
- 18.94 deg, I 60, hkl 0 1 1
- 21.98 deg, I 40, hkl 0 0 2
- 30.14 deg, I 100, hkl 1 1 1
- 32.19 deg, I 88, hkl 1 0 2
- 33.07 deg, I 83, hkl 0 2 1
- 35.87 deg, I 59, hkl 1 1 2
- 36.82 deg, I 53, hkl 0 1 3
- 40.81 deg, I 72, hkl 1 2 1
- 59.10 deg, I 37, hkl 2 2 1

```
data_CaHoSi2
_chemical_formula_sum 'Ca2 Ho2 Si4'
_symmetry_space_group_name_H-M 'P m c 21'
_symmetry_Int_Tables_number 26
_cell_length_a 3.8288
_cell_length_b 5.7495
_cell_length_c 8.0893
_cell_angle_alpha 90.00
_cell_angle_beta 90.00
_cell_angle_gamma 90.00
loop_
_symmetry_equiv_pos_as_xyz
'x,y,z'
'-x,-y,z+1/2'
'-x,y,z'
'x,-y,z+1/2'
loop_
_atom_site_label
_atom_site_fract_x
_atom_site_fract_y
_atom_site_fract_z
_atom_site_occupancy
Ca1 0.0000 0.1372 0.0000 1
Ho1 0.5000 0.3602 0.3584 1
Si1 0.0000 0.3828 0.6413 1
Si2 0.5000 0.1354 0.7135 1
```

***

Entry 2: